Friday, January 29, 2010
Allah,ampunilah dosa mulut dan lidahku ini'.
Penjelasan nombor 1 : Kita hari-hari bercakap benda-benda yang tak berfaedah.
2. Ketika membasuh muka, berniatlah kamu
dengan, 'Ya Allah, putihkanlah muka ku di akhirat
kelak, Janganlah Kau hitamkan muka ku ini'.
Penjelasan nombor 2 : Ahli syurga mukanya putih berseri-seri.
3. Ketika membasuh tangan kanan, berniatlah
Materials data from another source follow
[1]
This record from the Alexandria database describes a geometry-optimized NaNbNF2 structure. The functional is PBE.

Summary:
- E (eV/atom) = -5.092
- ΔE_f (raw) (kcal/mol of atoms) = -9.24

Structure (CIF):
```
data_NaNbNF2
_space_group_name_H-M_alt 'P 4/m m m'
_space_group_IT_number 123
_space_group_name_Hall '-P 4 2'
_cell_length_a 3.676
_cell_length_b 3.676
_cell_length_c 4.556
_cell_angle_alpha 90.00
_cell_angle_beta 90.00
_cell_angle_gamma 90.00
loop_
_atom_site_label
_atom_site_type_symbol
_atom_site_fract_x
_atom_site_fract_y
_atom_site_fract_z
Na1 Na 0.000 0.000 0.000
Nb1 Nb 0.500 0.500 0.500
N1 N 0.000 0.000 0.500
F1 F 0.000 0.500 0.000
```

=====

[2]
This record from the Alexandria database describes a geometry-optimized YTl2IrBr structure. The functional is PBE.

Summary:
- E (eV/atom) = -3.812
- ΔE_f (raw) (kcal/mol of atoms) = 12.31

Structure (CIF):
```
data_YTl2IrBr
_space_group_name_H-M_alt 'P 4/m m m'
_space_group_IT_number 123
_space_group_name_Hall '-P 4 2'
_cell_length_a 6.305
_cell_length_b 6.305
_cell_length_c 4.954
_cell_angle_alpha 90.00
_cell_angle_beta 90.00
_cell_angle_gamma 90.00
loop_
_atom_site_label
_atom_site_type_symbol
_atom_site_fract_x
_atom_site_fract_y
_atom_site_fract_z
Y1 Y 0.000 0.000 0.000
Tl1 Tl 0.000 0.500 0.000
Ir1 Ir 0.000 0.000 0.500
Br1 Br 0.500 0.500 0.500
```

=====

[3]
This record from the Alexandria database describes a geometry-optimized Nd5Er3H12 structure. The functional is PBE.

Summary:
- E (eV/atom) = -4.311

Structure (CIF):
```
data_Nd5Er3H12
_space_group_name_H-M_alt 'I a -3 d'
_space_group_IT_number 230
_space_group_name_Hall '-I 4bd 2c 3'
_cell_length_a 13.365
_cell_length_b 13.365
_cell_length_c 13.365
_cell_angle_alpha 90.00
_cell_angle_beta 90.00
_cell_angle_gamma 90.00
loop_
_atom_site_label
_atom_site_type_symbol
_atom_site_fract_x
_atom_site_fract_y
_atom_site_fract_z
Nd1 Nd 0.000 0.000 0.000
Nd2 Nd 0.000 0.250 0.375
Er1 Er 0.000 0.250 0.125
H1 H 0.003 0.071 0.159
```

----------

Material: NaNbNi2Cl
Method: DFT, PBE-GGA
State: relaxed

The energy relative to the elements, uncorrected is 132.42 kJ per mole of atoms. The value obtained for the total energy is -17.94 eV for the cell shown. The total magnetic moment is 0.1 Bohr magnetons per cell.

a = 4.4607 Å, b = 4.4607 Å, c = 4.4848 Å
α = 90.00°, β = 90.00°, γ = 90.00°
Positions (direct):
Na  0.0000  0.0000  0.0000
Nb  0.5000  0.5000  0.5000
Ni  0.0000  0.5000  0.0000
Ni  0.5000  0.0000  0.0000
Cl  0.0000  0.0000  0.5000



Material: Er7Cd2Ru2
Method: DFT, PBE-GGA
State: relaxed

The value obtained for the total energy is -54.63 eV for the cell shown. The calculation puts the offset from the most stable computed form at 1.91 kcal/mol of atoms. The total magnetic moment is 0.0 Bohr magnetons per cell.

a = 6.6835 Å, b = 6.6835 Å, c = 7.1162 Å
α = 90.00°, β = 90.00°, γ = 107.70°
Positions (direct):
Er  0.0000  0.0000  0.0000
Er  0.0000  0.5000  0.2511
Er  0.0000  0.5000  0.7489
Er  0.5000  0.0000  0.2511
kamu dengan, 'Ya Allah, berikanlah hisab-hisab
ku ditangan kanan ku ini'.
Penjelasan nombor 3 : Ahli syurga diberikanhisab-
hisabnya di tangan kanan .
Data records, as found in the file >
........
[1]
Compound: Nb2VIn
Source: the Alexandria database
Functional: PBE
Structure: relaxed

ΔH_f (0 K) ... 0.23 eV per atom

abc: 3.1106 3.1106 26.5722
angles: 90.00 90.00 120.00
Space group R-3m (No. 166, hexagonal axes)
One atom of each set of equivalent atoms:
Nb 0.0000 0.0000 0.2398 x6
V 0.0000 0.0000 0.5000 x3
In 0.0000 0.0000 0.0000 x3

***

[2]
Compound: RbNaAs2Se
Source: the Alexandria database
Functional: PBE
Structure: relaxed

Formation energy from raw total energies ... 4.87 eV per formula unit
Energy above the most stable polymorph in this dataset ... 630.7 meV per atom

abc: 5.849 5.849 6.049
angles: 90.00 90.00 90.00
Space group P4/mmm (No. 123)
One atom of each set of equivalent atoms:
Rb 0.000 0.000 0.000 x1
Na 0.500 0.500 0.500 x1
As 0.000 0.500 0.000 x2
Se 0.000 0.000 0.500 x1

***

[3]
Compound: DyAs2Ru
Source: the Alexandria database
Functional: PBE
Structure: relaxed

ΔH_f (0 K) ... -0.72 eV per atom

abc: 4.0047 4.0047 16.6326
angles: 90.00 90.00 120.00
Space group R-3m (No. 166, hexagonal axes)
One atom of each set of equivalent atoms:
Dy 0.0000 0.0000 0.0000 x3
As 0.0000 0.0000 0.2312 x6
Ru 0.0000 0.0000 0.5000 x3

***

[4]
Compound: LaGa3F
Source: the Alexandria database
Functional: PBE
Structure: relaxed

Formation energy from raw total energies ... 2.37 eV per formula unit
Energy above the most stable polymorph in this dataset ... 1231.0 meV per atom

abc: 5.902 5.902 5.902
angles: 90.00 90.00 90.00
Space group Pm-3m (No. 221)
One atom of each set of equivalent atoms:
La 0.000 0.000 0.000 x1
Ga 0.000 0.000 0.500 x3
F 0.500 0.500 0.500 x1

***

[5]
Compound: Sn3Sb2Te
Source: the Alexandria database
Functional: PBE
Structure: relaxed

Formation energy from raw total energies ... -0.45 eV per formula unit

abc: 8.836 12.438 26.459
angles: 90.00 90.00 90.00
Space group Fddd (No. 70, origin choice 2)
One atom of each set of equivalent atoms:
Sn 0.115 0.375 0.375 x16
Sn 0.120 0.372 0.207 x32
Sb 0.125 0.125 0.040 x16
Sb 0.125 0.125 0.377 x16
Te 0.125 0.125 0.542 x16

***

[6]
Compound: Sm2DyY5Er
Source: the Alexandria database
Functional: PBE
Structure: relaxed

ΔH_f (0 K) ... 0.27 eV per atom

abc: 8.663 8.663 15.590
angles: 90.00 90.00 90.00
Space group I4/mcm (No. 140)
One atom of each set of equivalent atoms:
Sm 0.117 0.383 0.000 x8
Dy 0.000 0.000 0.250 x4
Y 0.000 0.000 0.000 x4
Y 0.210 0.290 0.362 x16
Er 0.000 0.500 0.250 x4

***

[7]
Compound: ErAgSn
Source: the Alexandria database
Functional: PBE
Structure: relaxed

ΔH_f (0 K) ... -0.51 eV per atom

abc: 6.703 6.703 6.703
angles: 90.00 90.00 90.00
Space group F-43m (No. 216)
One atom of each set of equivalent atoms:
Er 0.000 0.000 0.000 x4
Ag 0.250 0.250 0.250 x4
Sn 0.000 0.000 0.500 x4

***

[8]
Compound: LiPmTiRu
Source: the Alexandria database
Functional: PBE
Structure: relaxed

ΔH_f (0 K) ... -0.05 eV per atom

abc: 6.678 6.678 6.678
angles: 90.00 90.00 90.00
Space group F-43m (No. 216)
One atom of each set of equivalent atoms:
Li 0.000 0.000 0.000 x4
........
4. Ketika membasuh tangan kiri, berniatlah kamu
dengan, 'Ya Allah, janganlah Kau berikan hisab-
hisab ku di tangan kiri ku ini'.
Penjelasan nombor 4 : Ahli neraka diberikan hisab-
hisabnya di tangan kiri .
5. Ketika membasuh kepala, berniatlah kamu
dengan,'Ya Allah, lindunganlah daku dari terik
matahari di padang Masyar dengan Arasy Mu'.
Penjelasan nombor 5 : Panas di Padang Masyar
macam matahari sejengkal di atas kepala.
6. Ketika membasuh telinga, berniatlah kamu
dengan,'Ya Allah, ampunilah dosa telinga ku ini'
Penjelasan nombor 6 : Hari-hari mendengar orang
mengumpat, memfitnah dll.
7. Ketika membasuh kaki kanan, berniatlah kamu
dengan.'Ya Allah, permudahkanlah aku melintasi
titian Siratul Mustaqqim'.
Penjelasan nombor 7 : Ahli syurga melintasi titian
dengan pantas sekali..
8. Ketika membasuh kaki kiri, berniatlah kamu
dengan,'Ya, Allah, bawakanlah daku pergi ke
masjid-masjid, surau-surau dan bukan tempat-
tempat maksiat'
Penjelasan nombor 8 : Qada' dan Qadar kita di
tangan Allah.
Ramai di antara kita yang tidak sedar akan hakikat
bahawa setiap yang dituntut dalam Islam
mempunyai hikmah nya yang tersendiri.
Pernah kita terfikir mengapa kita mengambil
wuduk sedemikian rupa?
Pernah kita terfikir segala hikmah yang kita
perolehi dalam menghayati Islam?
Pernah kita terfikir mengapa Allah lahirkan kita
sebagai umat Islam?
Bersyukurlah dan bertaubat selalu. Hantar e-mail
ini kepada rakan-rakan yang lain. Ikhlas kerana
Thursday, January 28, 2010
masih bad day? haha
Friday, January 22, 2010
aku dan bad day
ingatlah biasanya kabus tak berpanjangan
setelah kabus berlalu pasti cerah kembali..
apakah kita akan sama ataupun sebaliknya,
kesenangan yg datang selepas kesusahan,
semuanya adalah nikmat dari Tuhan..
Berdoalah kepadaKu, niscaya akan Aku kabulkan
Sunday, January 17, 2010
money buys public safety
On Thursday, June 29, 1995, a big department store called Sampoong Department Store crashed to floor for some irresponsible reason; built by failures and greediness. About 1500 casualties had been trapped in the incident. Specifically, 501 affirmed died and 937 injured.
The mall was built originally as four floor office building. The next chairman, Lee Joon redesigned the building as a large department store later on during its construction. This involved cutting away a number of support columns in order to permit the installation of escalators. The contractor refused with the demand and got fired. His own company design it themselves and completed the construction with a great layout.
Next, the building was added up with one more floor on the top planned as skating rink but it was cancelled as the function of a department store won’t be achieved. Hence, the fifth floor turned to include eight restaurants which installed with hot water pipes through the floor concrete. When a construction company tasked to complete the extension advised that the structure would not support another floor, they were once again fired. The installation of heat water pipes will add extra huge load on the concrete slab. On 1993, three giant air conditioners located on the top of the building roof by pull it through one side to one side. The vibrations were gigantic and
The collapse of the famous and happening store was started by the appearance of cracks in April 1995. During the tragic day, the crack had increased to an incredible size as big as man’s fist. The Facilities Manager, Mr Lee received complaints from stalls owner on fifth floor and reported it to the executives. Because of the customers in the building were outstandingly high, they denied on shutting down the premise and left for precaution. So, Mr Lee shut the air conditioners off and closed the top floor.
From the journals, five hours before the incident, several loud bangs were heard from the top floors as the result of air-conditioning vibrations. Even so, nobody announce the emergency to hundreds of customers there. It then followed by the falling of the roof and the air conditioning units and less than 20 seconds, the building flattened to the ground. The property damage estimated in about US$216 million.
Around the world, this is only one of examples on ignored ethics value. Isms rises these days were incredibly worrying. Desperate relatives of casualties of the incidents claimed justice which then brought the executives to jail for their greediness and stubbornness. The disaster then led to fears on the safety standards on engineering projects carried out in the country. It also expose the level of corruptions among the city officials; money for public safety.
kalo aku ley post ngn video2 ni skali kt printed esaimen ni kan bagus. kui3